## Assignment
It remains to count the lines further down that contain the word "Space" and give the number alone.

## Material
/*
VASP calculation (PBE with a Hubbard U) on a relaxed NiHgN2F crystal.

For the density of states at the Fermi level, the calculation gives 2.369 states/eV/cell. The value obtained for the energy above the most stable polymorph in this dataset is 0 meV/atom. The value obtained for the density is 8.0 g/cm3. Its space group is P4/mmm, No. 123. For the total moment, the calculation gives 2.5 μB per formula unit.

abc: 3.6354 3.6354 4.8144
angles: 90.00 90.00 90.00
Last column: nearest neighbours and their distance in Å.
Sites, in units of the cell vectors:
Ni (0.0000, 0.0000, 0.0000)  4 N 1.82
Hg (0.5000, 0.5000, 0.5000)  4 F 2.57
N (0.0000, 0.5000, 0.0000)  2 Ni 1.82
N (0.5000, 0.0000, 0.0000)  2 Ni 1.82
F (0.0000, 0.0000, 0.5000)  2 Ni 2.41, 4 Hg 2.57


1.
# Mg2TcAgBr

An optimized crystal structure of Mg2TcAgBr (PBE, Alexandria).

abc: 5.1862 5.1862 5.2665
angles: 90.00 90.00 90.00
Space group P4/mmm (No. 123)
Inequivalent atoms, fractional coordinates:
Mg1 0.0000 0.5000 0.0000 [2 per cell]
Tc1 0.0000 0.0000 0.5000 [1 per cell]
Ag1 0.5000 0.5000 0.0000 [1 per cell]
Br1 0.5000 0.5000 0.5000 [1 per cell]

energy relative to the elements, uncorrected	1.060	eV/atom
energy	-2.556	eV/atom
M_tot	4.00	μB/f.u.
DOS(E_F)	5.33	states/eV per cell

2.
# Ca3BCl

An optimized crystal structure of Ca3BCl (PBE, Alexandria).

abc: 5.2990 5.2990 5.2990
angles: 90.00 90.00 90.00
Space group Pm-3m (No. 221)
Inequivalent atoms, fractional coordinates:
Ca1 0.0000 0.0000 0.5000 [3 per cell]
B1 0.0000 0.0000 0.0000 [1 per cell]
Cl1 0.5000 0.5000 0.5000 [1 per cell]

energy relative to the elements, uncorrected	-0.301	eV/atom
energy	-3.206	eV/atom
excess energy over the best structure of this formula in the dataset	0	meV per atom
M_tot	0.00	μB/f.u.
DOS(E_F)	0.87	states/eV per cell

3.
# LaZnHg3

An optimized crystal structure of LaZnHg3 (PBE, Alexandria).

abc: 7.0393 12.1680 5.7613
angles: 90.00 90.00 90.00
Space group Cmcm (No. 63)
Inequivalent atoms, fractional coordinates:
La1 0.0000 0.1671 0.2500 [4 per cell]
Zn1 0.0000 0.5000 0.0000 [4 per cell]
Hg1 0.0000 0.3109 0.7500 [4 per cell]
Hg2 0.2161 0.0941 0.7500 [8 per cell]

energy	-1.688	eV/atom
excess energy over the best structure of this formula in the dataset	0	meV per atom
M_tot	0.00	μB/f.u.
DOS(E_F)	11.18	states/eV per cell

4.
# Mn2Be16Fe

An optimized crystal structure of Mn2Be16Fe (PBE, Alexandria).

abc: 7.2561 7.2561 10.6111
angles: 90.00 90.00 120.00
Space group R3m (No. 160, hexagonal axes)
Inequivalent atoms, fractional coordinates:
Mn1 0.0000 0.0000 0.0000 [3 per cell]
Mn2 0.0000 0.0000 0.3232 [3 per cell]
Be1 0.0000 0.0000 0.7702 [3 per cell]
Be2 0.9996 0.3013 0.6577 [18 per cell]
Be3 0.0055 0.5028 0.1592 [9 per cell]
Be4 0.1671 0.3341 0.1453 [9 per cell]
Be5 0.1728 0.3456 0.8359 [9 per cell]
Fe1 0.0000 0.0000 0.5701 [3 per cell]

energy	-4.634	eV/atom
M_tot	5.89	μB/f.u.
DOS(E_F)	21.93	states/eV per cell

5.
# CaP2W

An optimized crystal structure of CaP2W (PBE, Alexandria).

abc: 5.9535 5.9535 11.7488
angles: 90.00 90.00 90.00
Space group I-42d (No. 122)
Inequivalent atoms, fractional coordinates:
Ca1 0.0000 0.0000 0.0000 [4 per cell]
P1 0.1684 0.2500 0.6250 [8 per cell]
W1 0.0000 0.0000 0.5000 [4 per cell]

energy	-6.649	eV/atom
excess energy over the best structure of this formula in the dataset	356	meV per atom
M_tot	0.10	μB/f.u.
DOS(E_F)	13.82	states/eV per cell

6.
# DyCdCuHg

An optimized crystal structure of DyCdCuHg (PBE, Alexandria).

abc: 6.9376 6.9376 6.9376
angles: 90.00 90.00 90.00
Space group F-43m (No. 216)
Inequivalent atoms, fractional coordinates:
Dy1 0.0000 0.0000 0.0000 [4 per cell]
Cd1 0.0000 0.0000 0.5000 [4 per cell]
Cu1 0.2500 0.2500 0.7500 [4 per cell]
Hg1 0.2500 0.2500 0.2500 [4 per cell]

energy	-2.745	eV/atom
M_tot	0.00	μB/f.u.
DOS(E_F)	7.18	states/eV per cell

7.
# SbMoC3

An optimized crystal structure of SbMoC3 (PBE, Alexandria).

abc: 4.1369 4.1369 4.1369
angles: 90.00 90.00 90.00
Space group Pm-3m (No. 221)
Inequivalent atoms, fractional coordinates:
*/

## Reply
7